- - -
# Dy2Ge2O7 GGA-PBE optimized geometry
# Energy of formation   -3.055 eV per atom
# Calculated total energy   -7.445 eV per atom
data_Dy2Ge2O7
_symmetry_space_group_name_H-M 'C 1 2 1'
_symmetry_Int_Tables_number 5
_cell_length_a 7.041
_cell_length_b 9.224
_cell_length_c 5.013
_cell_angle_alpha 90.00
_cell_angle_beta 102.30
_cell_angle_gamma 90.00
loop_
_symmetry_equiv_pos_as_xyz
'x,y,z'
'-x,y,-z'
'x+1/2,y+1/2,z'
'-x+1/2,y+1/2,-z'
loop_
_atom_site_label
_atom_site_type_symbol
_atom_site_fract_x
_atom_site_fract_y
_atom_site_fract_z
Dy1 Dy 0.000 0.000 0.000
Dy2 Dy 0.000 0.387 0.000
Ge1 Ge 0.229 0.692 0.409
O1 O 0.000 0.682 0.500
O2 O 0.101 0.194 0.276
O3 O 0.238 0.851 0.212
O4 O 0.242 0.534 0.212



# Dy2Ge2O7 GGA-PBE optimized geometry
# Energy of formation   -3.061 eV per atom
# Calculated total energy   -7.451 eV per atom
data_Dy2Ge2O7
_symmetry_space_group_name_H-M 'P 41 21 2'
_symmetry_Int_Tables_number 92
_cell_length_a 6.871
_cell_length_b 6.871
_cell_length_c 12.518
_cell_angle_alpha 90.00
_cell_angle_beta 90.00
_cell_angle_gamma 90.00
loop_
_symmetry_equiv_pos_as_xyz
'x,y,z'
'-y+1/2,x+1/2,z+1/4'
'-x,-y,z+1/2'
'y+1/2,-x+1/2,z+3/4'
'x+1/2,-y+1/2,-z+3/4'
'-y,-x,-z+1/2'
'-x+1/2,y+1/2,-z+1/4'
'y,x,-z'
loop_
_atom_site_label
_atom_site_type_symbol
_atom_site_fract_x
_atom_site_fract_y
_atom_site_fract_z
Dy1 Dy 0.125 0.353 0.115
Ge1 Ge 0.099 0.152 0.631
O1 O 0.032 0.079 0.873
O2 O 0.064 0.662 0.179
O3 O 0.144 0.316 0.295
O4 O 0.197 0.197 0.500



no.,ΔE to the lowest computed polymorph (eV/atom),volume (Å³/f.u.)
1,0.006,159.1
2,0.000,147.8

~~~~~

1.
Below is DyBO3 after structural relaxation, with properties calculated at the PBE-GGA level.

Properties
The energy of formation comes out at -340.2 kJ/mol of atoms.

abc: 6.189 6.393 6.410
angles: 92.57 107.14 107.13
Space group P-1 (No. 2)
Unique sites:
Dy  0.045  0.268  0.333
Dy  0.444  0.819  0.224
B  0.018  0.238  0.782
B  0.478  0.278  0.264
O  0.046  0.777  0.032
O  0.089  0.645  0.373
O  0.154  0.125  0.718
O  0.369  0.129  0.386
O  0.386  0.795  0.842
O  0.425  0.470  0.250

---

2.
Below is NaY2Sn2P3S3O24 after structural relaxation, with properties calculated at the PBE-GGA level.

Properties
The total moment comes out at 0.000 μB/f.u. The energy of formation comes out at -243.7 kJ/mol of atoms.

abc: 8.963 8.971 23.551
angles: 89.86 89.61 60.03
Space group P1 (No. 1)
Unique sites:
Na  0.000  0.000  0.000
Na  0.006  0.974  0.504
Na  0.340  0.325  0.668
Y  0.002  0.981  0.354
Y  0.332  0.314  0.027
Y  0.332  0.322  0.524
Y  0.989  0.995  0.848
Y  0.993  0.979  0.650
Y  0.999  0.994  0.147
Sn  0.322  0.330  0.817
Sn  0.325  0.319  0.322
Sn  0.658  0.655  0.185
Sn  0.659  0.669  0.480
Sn  0.664  0.653  0.688
Sn  0.667  0.646  0.980
P  0.033  0.609  0.419
P  0.036  0.325  0.919
P  0.336  0.026  0.419
P  0.383  0.656  0.585
P  0.385  0.929  0.083
P  0.665  0.936  0.585
P  0.666  0.371  0.084
P  0.691  0.293  0.751
P  0.995  0.683  0.751
S  0.300  0.989  0.751
S  0.302  0.679  0.251
S  0.335  0.612  0.919
S  0.620  0.023  0.918
S  0.621  0.329  0.418
S  0.691  0.988  0.251
S  0.944  0.658  0.084
S  0.945  0.370  0.584
S  0.997  0.294  0.251
O  0.007  0.790  0.410
O  0.013  0.168  0.913
O  0.029  0.185  0.201
O  0.036  0.758  0.699
O  0.113  0.501  0.363
O  0.113  0.505  0.080
O  0.116  0.355  0.581
O  0.120  0.354  0.864
O  0.146  0.302  0.971
O  0.148  0.528  0.470
O  0.153  0.311  0.259
O  0.161  0.499  0.758
O  0.176  0.007  0.410
O  0.183  0.785  0.912
O  0.192  0.022  0.700
O  0.194  0.756  0.201
O  0.207  0.821  0.588
O  0.207  0.942  0.088
O  0.224  0.790  0.301
O  0.224  0.960  0.802
O  0.307  0.138  0.470
O  0.310  0.532  0.969
O  0.320  0.145  0.759
O  0.322  0.505  0.261
O  0.366  0.505  0.867
O  0.367  0.494  0.582
O  0.368  0.104  0.079
O  0.370  0.104  0.362
O  0.470  0.674  0.529
O  0.471  0.818  0.029
O  0.473  0.835  0.743
O  0.476  0.662  0.243
O  0.491  0.852  0.139
O  0.493  0.628  0.924
O  0.493  0.631  0.638
O  0.498  0.845  0.424
O  0.501  0.113  0.583
- - -

Now type out the lines further above up to the one that holds "0.261", that line included.

# Dy2Ge2O7 GGA-PBE optimized geometry
# Energy of formation   -3.055 eV per atom
# Calculated total energy   -7.445 eV per atom
data_Dy2Ge2O7
_symmetry_space_group_name_H-M 'C 1 2 1'
_symmetry_Int_Tables_number 5
_cell_length_a 7.041
_cell_length_b 9.224
_cell_length_c 5.013
_cell_angle_alpha 90.00
_cell_angle_beta 102.30
_cell_angle_gamma 90.00
loop_
_symmetry_equiv_pos_as_xyz
'x,y,z'
'-x,y,-z'
'x+1/2,y+1/2,z'
'-x+1/2,y+1/2,-z'
loop_
_atom_site_label
_atom_site_type_symbol
_atom_site_fract_x
_atom_site_fract_y
_atom_site_fract_z
Dy1 Dy 0.000 0.000 0.000
Dy2 Dy 0.000 0.387 0.000
Ge1 Ge 0.229 0.692 0.409
O1 O 0.000 0.682 0.500
O2 O 0.101 0.194 0.276
O3 O 0.238 0.851 0.212
O4 O 0.242 0.534 0.212



# Dy2Ge2O7 GGA-PBE optimized geometry
# Energy of formation   -3.061 eV per atom
# Calculated total energy   -7.451 eV per atom
data_Dy2Ge2O7
_symmetry_space_group_name_H-M 'P 41 21 2'
_symmetry_Int_Tables_number 92
_cell_length_a 6.871
_cell_length_b 6.871
_cell_length_c 12.518
_cell_angle_alpha 90.00
_cell_angle_beta 90.00
_cell_angle_gamma 90.00
loop_
_symmetry_equiv_pos_as_xyz
'x,y,z'
'-y+1/2,x+1/2,z+1/4'
'-x,-y,z+1/2'
'y+1/2,-x+1/2,z+3/4'
'x+1/2,-y+1/2,-z+3/4'
'-y,-x,-z+1/2'
'-x+1/2,y+1/2,-z+1/4'
'y,x,-z'
loop_
_atom_site_label
_atom_site_type_symbol
_atom_site_fract_x
_atom_site_fract_y
_atom_site_fract_z
Dy1 Dy 0.125 0.353 0.115
Ge1 Ge 0.099 0.152 0.631
O1 O 0.032 0.079 0.873
O2 O 0.064 0.662 0.179
O3 O 0.144 0.316 0.295
O4 O 0.197 0.197 0.500



no.,ΔE to the lowest computed polymorph (eV/atom),volume (Å³/f.u.)
1,0.006,159.1
2,0.000,147.8

~~~~~

1.
Below is DyBO3 after structural relaxation, with properties calculated at the PBE-GGA level.

Properties
The energy of formation comes out at -340.2 kJ/mol of atoms.

abc: 6.189 6.393 6.410
angles: 92.57 107.14 107.13
Space group P-1 (No. 2)
Unique sites:
Dy  0.045  0.268  0.333
Dy  0.444  0.819  0.224
B  0.018  0.238  0.782
B  0.478  0.278  0.264
O  0.046  0.777  0.032
O  0.089  0.645  0.373
O  0.154  0.125  0.718
O  0.369  0.129  0.386
O  0.386  0.795  0.842
O  0.425  0.470  0.250

---

2.
Below is NaY2Sn2P3S3O24 after structural relaxation, with properties calculated at the PBE-GGA level.

Properties
The total moment comes out at 0.000 μB/f.u. The energy of formation comes out at -243.7 kJ/mol of atoms.

abc: 8.963 8.971 23.551
angles: 89.86 89.61 60.03
Space group P1 (No. 1)
Unique sites:
Na  0.000  0.000  0.000
Na  0.006  0.974  0.504
Na  0.340  0.325  0.668
Y  0.002  0.981  0.354
Y  0.332  0.314  0.027
Y  0.332  0.322  0.524
Y  0.989  0.995  0.848
Y  0.993  0.979  0.650
Y  0.999  0.994  0.147
Sn  0.322  0.330  0.817
Sn  0.325  0.319  0.322
Sn  0.658  0.655  0.185
Sn  0.659  0.669  0.480
Sn  0.664  0.653  0.688
Sn  0.667  0.646  0.980
P  0.033  0.609  0.419
P  0.036  0.325  0.919
P  0.336  0.026  0.419
P  0.383  0.656  0.585
P  0.385  0.929  0.083
P  0.665  0.936  0.585
P  0.666  0.371  0.084
P  0.691  0.293  0.751
P  0.995  0.683  0.751
S  0.300  0.989  0.751
S  0.302  0.679  0.251
S  0.335  0.612  0.919
S  0.620  0.023  0.918
S  0.621  0.329  0.418
S  0.691  0.988  0.251
S  0.944  0.658  0.084
S  0.945  0.370  0.584
S  0.997  0.294  0.251
O  0.007  0.790  0.410
O  0.013  0.168  0.913
O  0.029  0.185  0.201
O  0.036  0.758  0.699
O  0.113  0.501  0.363
O  0.113  0.505  0.080
O  0.116  0.355  0.581
O  0.120  0.354  0.864
O  0.146  0.302  0.971
O  0.148  0.528  0.470
O  0.153  0.311  0.259
O  0.161  0.499  0.758
O  0.176  0.007  0.410
O  0.183  0.785  0.912
O  0.192  0.022  0.700
O  0.194  0.756  0.201
O  0.207  0.821  0.588
O  0.207  0.942  0.088
O  0.224  0.790  0.301
O  0.224  0.960  0.802
O  0.307  0.138  0.470
O  0.310  0.532  0.969
O  0.320  0.145  0.759
O  0.322  0.505  0.261